### Entries
Entry 1:
Here is C42H116BF3N8O16V as an isolated structure in a non-equilibrium geometry from OMol25. Energies are from ωB97M-V/def2-TZVPD.

Values from the calculation:
Spin multiplicity: 4
HOMO energy (spin up / spin down): -8.238 / -8.530 eV
Gap between HOMO and LUMO (spin up / spin down): 8.14 / 8.29 eV
⟨S²⟩: 3.76

CARTESIAN COORDINATES (ANGSTROEM)
V -2.611 -0.068 -3.117
C -1.155 1.584 -1.015
O -0.154 0.610 -1.293
O -2.373 1.179 -1.399
C -1.081 2.137 0.413
F 0.198 2.197 0.845
F -1.585 3.363 0.543
F -1.730 1.337 1.291
C 0.036 -0.483 -0.402
C 1.333 -1.158 -0.800
H 2.152 -0.442 -0.856
H 1.603 -1.929 -0.070
H 1.286 -1.669 -1.763
H -0.763 -1.231 -0.445
H 0.157 -0.160 0.632
H -0.790 2.440 -1.624
B -3.730 -1.794 -1.932
H -4.582 -0.923 -2.015
H -4.138 -2.823 -1.519
H -3.350 -1.939 -3.052
H -2.807 -1.393 -1.308
C -0.045 1.786 4.384
C 0.507 3.079 3.871
O 0.420 4.143 4.823
O 0.749 1.279 5.456
H -0.010 1.104 3.530
H -1.074 1.945 4.715
H -0.048 3.313 2.958
H 1.569 2.967 3.620
H 0.934 4.870 4.463
H 0.160 0.786 6.032
C 0.008 -0.539 -4.476
C -0.100 0.957 -4.421
O -1.494 1.404 -4.523
O -0.833 -1.178 -3.528
H 1.056 -0.832 -4.376
H -0.296 -0.831 -5.491
H 0.371 1.367 -5.321
H 0.401 1.447 -3.584
H -1.463 2.356 -4.660
H -0.541 -2.098 -3.313
C -5.629 2.569 -0.216
C -5.204 1.501 0.773
O -4.681 0.356 0.149
O -4.563 3.296 -0.785
H -6.315 3.246 0.299
H -6.228 2.059 -0.984
H -6.110 1.173 1.295
H -4.543 1.927 1.543
H -3.825 0.567 -0.260
H -3.943 2.666 -1.180
C 1.455 -8.699 -0.864
C 2.327 -7.978 0.150
C 2.230 -6.472 0.030
O 3.085 -5.860 0.955
C 3.213 -4.461 0.720
N 1.936 -8.381 1.489
H 0.391 -8.614 -0.623
H 1.699 -9.761 -0.897
H 1.554 -8.296 -1.875
H 3.370 -8.194 -0.139
H 1.201 -6.129 0.229
H 2.472 -6.246 -1.022
H 2.925 -4.230 -0.305
H 4.260 -4.215 0.901
H 2.604 -3.912 1.446
H 1.967 -9.390 1.615
H 2.656 -8.092 2.149
C -3.085 7.494 5.241
C -1.654 7.160 4.818
C -1.686 6.480 3.453
O -2.587 7.090 2.570
C -2.797 6.328 1.413
N -0.938 8.447 4.753
H -3.732 6.618 5.299
H -3.505 8.178 4.504
H -3.114 8.025 6.193
H -1.225 6.502 5.570
H -1.984 5.421 3.534
H -0.655 6.457 3.053
H -1.874 6.300 0.812
H -3.583 6.808 0.836
H -3.037 5.270 1.575
H 0.066 8.284 4.735
H -1.099 8.903 3.860
C 5.114 -0.680 -1.674
C 5.707 -1.804 -0.818
C 6.488 -2.806 -1.642
O 5.687 -3.232 -2.719
C 6.338 -4.200 -3.513
N 6.543 -1.192 0.222
H 4.271 -1.098 -2.230
H 5.783 -0.268 -2.431
H 4.743 0.120 -1.035
H 4.875 -2.316 -0.320
H 6.708 -3.662 -0.983
H 7.442 -2.372 -1.966
H 5.588 -4.677 -4.143
H 6.833 -4.949 -2.887
H 7.075 -3.738 -4.180
H 6.238 -0.263 0.471
H 6.533 -1.744 1.071
C -5.822 -6.173 0.358
C -5.783 -4.676 0.638
C -4.341 -4.222 0.815
O -4.266 -2.839 0.997
C -3.041 -2.452 1.533
N -6.413 -3.909 -0.455
H -5.340 -6.759 1.147
H -5.293 -6.429 -0.566
H -6.852 -6.506 0.220
H -6.340 -4.419 1.541
H -3.775 -4.564 -0.067
H -3.936 -4.703 1.719
H -2.944 -2.726 2.596
H -2.986 -1.359 1.526
H -2.173 -2.810 0.959
H -7.420 -4.030 -0.404
H -6.145 -4.329 -1.341
C -2.090 5.284 -1.997
C -1.436 6.340 -2.862
C -1.581 7.726 -2.263
O -2.936 8.025 -2.036
C -3.129 9.314 -1.498
N -0.014 5.981 -2.974
H -1.558 5.194 -1.046
H -2.020 4.289 -2.434
H -3.139 5.485 -1.789
H -1.902 6.342 -3.853
H -1.115 8.475 -2.922
H -1.007 7.753 -1.318
H -4.201 9.509 -1.564
H -2.637 10.095 -2.087
H -2.836 9.342 -0.444
H 0.351 5.901 -2.025
H 0.512 6.703 -3.456
C 1.570 -4.140 -3.327
C 0.082 -4.448 -3.350
C -0.250 -5.919 -3.192
O -1.618 -6.010 -2.880
C -2.160 -7.291 -3.146
N -0.536 -3.578 -2.296
H 1.933 -4.029 -2.297
H 1.823 -3.154 -3.727
H 2.220 -4.889 -3.782
H -0.316 -4.078 -4.302
H 0.371 -6.381 -2.412
H -0.048 -6.432 -4.143
H -3.140 -7.317 -2.677
H -1.519 -8.104 -2.794
H -2.289 -7.420 -4.229
H -1.441 -3.993 -2.073
H 0.041 -3.734 -1.472
C 3.194 -2.992 6.050
C 3.805 -2.582 4.708
C 2.826 -1.774 3.898
O 1.704 -2.602 3.596
C 0.631 -1.834 3.084
N 5.013 -1.744 4.872
H 2.580 -2.170 6.434
H 3.963 -3.201 6.794
H 2.524 -3.848 5.960
H 4.141 -3.474 4.178
H 3.274 -1.500 2.933
H 2.478 -0.886 4.439
H 0.996 -1.217 2.250
H 0.302 -1.156 3.875
H -0.148 -2.492 2.710

### To do
Could you count the lines further above that contain the word "HOMO" and give the number alone?

### Result
2